Diversity and Inclusion in Research, Technology and Design

- Emmy Tsang, Esther Plomp

A recording and summary of our Open Science Coffee on Diversity and Inclusion in Research, Technology and Design.

Our second Open Science Coffee - informal community discussions on a shared open science topic of interest - took place on Oct 6. Organised in collaboration with the TU Eindhoven Diversity Office for the TUD Diversity & Inclusion Week, the case for this discussion was “Diversity and Inclusion in Research, Technology and Design”.

We were very grateful to be joined by three panellists who generously shared their stories and experienmce:

Here we share a summary of our discussion and a recording of the thought-provoking session.

What does diversity and inclusion mean?

Despite having come from different backgrounds and cultures, our panellists all started pursuing diversity and inclusion work after observing the inequities and exclusions around them. Eriol would like to design human-centred and user-centred technology and products; they are interested in how designers serve marginalised communities with their work. For David, the farmers’ community in Ghana motivated him to look at how he can elevate the position of farmers so that they become creators and originators of technologies in food systems. Roberto’s academic journey from Brazil to the Netherlands and his research into spatial justice around the world prompted him to explore ways to collaborate with diverse groups in co-designing and co-thinking solutions for global challenges.

“To me, to be human-centred and user-centred means to be as understanding and as aware of the different complexities around diversity inclusion and intersecting identities as we possibly can be given our own intersecting identities as well.” — Eriol Fox

What are the primary representation issues in our research and technology development and design processes and cultures?

Narratives have a significant role in shaping our research, technology and design agendas. David pointed out the discrepancy between two narratives concerning innovation in the food system. Research into subsistence farming shows the importance of the expertise and experience of local farmers and farming communities in ensuring a socially, environmentally, physiologically, spiritually, and communally relevant farming system. Yet, the skills and knowledge of local farmers are not often considered “expertise”, and local farmers are not included in shaping “modern agritech” like drones and genetically modified organisms (GMOs), which many hail as the solutions to feeding the world’s growing population. Roberto highlighted some prominent narratives from the past (and still commonly assumed to be true these days): knowledge is produced mainly in the US and Europe, and knowledge producers are mostly white men. Increasingly, we realise that knowledge is polycentric, and talent and expertise come from all over the world. Drawing from their professional experience, Eriol shared how designers are excluded from spaces that are considered highly technical, while complex technological tools can often really benefit from designers’ input as they need to be accessible and usable by users.

“Who is designing what? What are we marking as the example of where we want research and technology to be? Are we leaving out individuals who we consider either as uneducated and inexperienced because we’ve created a narrative around an ideal that is based on our capitalistic standards?” — David Selassie Opoku

How can we change these narratives?

Unrelated to this page: crystal structures =
~~~
No. 1
Ta2VIr after structural relaxation. Source: the Materials Project, functional PBE.

Cell: 4.4879 4.4879 4.4879 Å, 60.00 60.00 60.00°
With the nearest neighbours (Å) after each atom.
Sites, in units of the cell vectors:
Ta (0.2500, 0.2500, 0.2500)  4 Ir 2.75, 4 V 2.75
Ta (0.7500, 0.7500, 0.7500)  4 Ir 2.75, 4 V 2.75
V (0.0000, 0.0000, 0.0000)  8 Ta 2.75
Ir (0.5000, 0.5000, 0.5000)  8 Ta 2.75

calculated formation energy: -377 meV/atom

---

No. 2
Tb5Ir3 after structural relaxation. Source: the Materials Project, functional PBE.

Cell: 10.9605 10.9605 6.3987 Å, 90.00 90.00 90.00°
With the nearest neighbours (Å) after each atom.
Sites, in units of the cell vectors:
Tb (0.2911, 0.0883, 0.3785)  5 Ir 2.90-3.16
Tb (0.2911, 0.9117, 0.8785)  5 Ir 2.90-3.16
Tb (0.7089, 0.0883, 0.8785)  5 Ir 2.90-3.16
Tb (0.7089, 0.9117, 0.3785)  5 Ir 2.90-3.16
Tb (0.5883, 0.7911, 0.8785)  5 Ir 2.90-3.16
Tb (0.5883, 0.2089, 0.3785)  5 Ir 2.90-3.16
Tb (0.4117, 0.7911, 0.3785)  5 Ir 2.90-3.16
Tb (0.4117, 0.2089, 0.8785)  5 Ir 2.90-3.16
Tb (0.2089, 0.4117, 0.6215)  5 Ir 2.90-3.16
Tb (0.2089, 0.5883, 0.1215)  5 Ir 2.90-3.16
Tb (0.7911, 0.4117, 0.1215)  5 Ir 2.90-3.16
Tb (0.7911, 0.5883, 0.6215)  5 Ir 2.90-3.16
Tb (0.9117, 0.7089, 0.1215)  5 Ir 2.90-3.16
Tb (0.9117, 0.2911, 0.6215)  5 Ir 2.90-3.16
Tb (0.0883, 0.7089, 0.6215)  5 Ir 2.90-3.16
Tb (0.0883, 0.2911, 0.1215)  5 Ir 2.90-3.16
Tb (0.0000, 0.0000, 0.5000)  4 Ir 2.87, 2 Tb 3.20
Tb (0.0000, 0.0000, 0.0000)  4 Ir 2.87, 2 Tb 3.20
Tb (0.5000, 0.5000, 0.0000)  4 Ir 2.87, 2 Tb 3.20
Tb (0.5000, 0.5000, 0.5000)  4 Ir 2.87, 2 Tb 3.20
Ir (0.8463, 0.1537, 0.2500)  8 Tb 2.87-3.16
Ir (0.8463, 0.8463, 0.7500)  8 Tb 2.87-3.16
Ir (0.1537, 0.1537, 0.7500)  8 Tb 2.87-3.16
Ir (0.1537, 0.8463, 0.2500)  8 Tb 2.87-3.16
Ir (0.6537, 0.3463, 0.7500)  8 Tb 2.87-3.16
Ir (0.6537, 0.6537, 0.2500)  8 Tb 2.87-3.16
Ir (0.3463, 0.3463, 0.2500)  8 Tb 2.87-3.16
Ir (0.3463, 0.6537, 0.7500)  8 Tb 2.87-3.16
Ir (0.5000, 0.0000, 0.1203)  8 Tb 2.93-2.99, 2 Ir 3.20
Ir (0.5000, 0.0000, 0.6203)  8 Tb 2.93-2.99, 2 Ir 3.20
Ir (0.0000, 0.5000, 0.8797)  8 Tb 2.93-2.99, 2 Ir 3.20
Ir (0.0000, 0.5000, 0.3797)  8 Tb 2.93-2.99, 2 Ir 3.20

excess energy over the best structure of this formula in the dataset: 0.0 meV per atom
calculated formation energy: -790 meV/atom

----------

Ba6MgCo2Sb4O18 (PBE with a Hubbard U, relaxed); E_tot = -6.123 eV per atom; energy above the lowest structure with this stoichiometry = 16 meV/atom; energy of formation = -2.34 eV per atom; V = 472.15 Å³ per cell; SG = No. 1
1.0
5.937 0.000 0.000
2.944 5.156 0.000
0.047 2.695 15.425
Ba Mg Co Sb O
6 1 2 4 18
direct
0.000 0.000 0.000
0.104 0.756 0.243
0.227 0.517 0.686
0.510 0.938 0.525
0.618 0.759 0.851
0.808 0.350 0.366
0.371 0.251 0.110
0.159 0.642 0.454
0.300 0.388 0.929
0.458 0.050 0.298
0.705 0.585 0.100
0.867 0.229 0.599
0.931 0.130 0.785
0.021 0.457 0.017
0.026 0.414 0.534
0.098 0.768 0.853
0.141 0.266 0.213
0.142 0.229 0.852
0.192 0.022 0.692
0.287 0.880 0.377
0.333 0.340 0.372
~~~

To this end, our panellists’ work exemplifies how we can start changing these narratives: through carefully listening to marginalised voices to understand cultural differences and needs, actively inviting people into spaces and conversations where they are traditionally excluded, and elevating their work. Through working together with researchers and students from 25 universities to publish a book of “Manifestos for a just city”, Roberto engaged researchers from all around the world in “visioning”, an activity to imagine a shared, just future. David co-founded Growing Gold Farms, working together with Ghanaian farmers to understand local farming processes and identify pain points. Together, they innovate to change the perception around local produce, farming as a career path and farms as a space for innovation, ultimately building a more sustainable food system. Through their work with the Open Source Design community and their research, Eriol has developed a deep understanding of the barriers for participation for designers to contribute to open-source technology development. Designers can contribute hugely to open-source projects by helping build more inclusive research and prototyping processes. Still, for designers to participate fully, there are cultural differences that the design and open-source communities need to understand and work to bridge. This is a lesson that can be extended to all communities: through more carefully understanding cultural differences and listening to diverse voices, we can together build more sustainable and powerful collaborations and teams.

“Diversity is not just a challenge. It is also joyful: it is a wonderful experience to connect with people who are different from you.” — Roberto Rocco

Also read co-facilitator Esther Plomp’s live tweet thread of this session.

Join us for the next open science coffee on Open Data and Software in Tackling the Climate Crisis - see our Events page for more details.